Obama Administration Releases NCLB Waiver Proposal
With reauthorization of No Child Left Behind taking much longer than expected, President Obama announced on Friday that his administration will begin to allow targeted waivers to individual states to provide regulatory relief under the current federal system with caveats to include levels of accountability.
"Congress hasn't been able to do it, so I will," Mr. Obama said in a speech at the White House attending by several state school chiefs. "Starting today, we'll be giving states more flexibility to meet high standards." Under the plan outlined by the White House, Secretary of Education Arne Duncan will invite states that agree to overhaul low-performing schools and adopt more rigorous teacher evaluation systems to apply for regulatory relief from the decade-old law's 2014 deadline and other unrealistic provisions. States that qualify for the waivers would be allowed to design their own school accountability systems backed by the administration. As part of the proposal the Department of Education and the White House released resources and FAQs for states to familiarize themselves with the proposal. Click here to view the complete list of resources. AAE Executive Director Gary Beckner cautiously supported the proposal, releasing a statement on Friday. "Clearly as evidenced by the last decade, a one-size-fits-all system does not work. While we support this plan as a critically-needed solution for schools, circumventing the Congress is no substitution for a full-scale congressional reauthorization to the Elementary and Secondary Education Act (ESEA). This proposal is an important first step, but we encourage continued progress in both the House and Senate on a bipartisan reauthorization." Click here to read his full remarks.
Department of Education Study Sheds Light on New Teacher Workforce One thing on which everyone in the education community can agree is the fact that effective teachers are the key to the overall success of our school system. In light of this consensus, the Department of Education has spent the past several years studying the behavior of new teachers and their career paths, of which the findings were released last week in an ongoing study. In an effort to understand the typical career journey of a new educator, the study tracks 2,000 teachers as they begin their teaching careers and follows their behavior patterns as they continue in both elementary and secondary settings. NCES' Beginning Teacher Longitudinal Study reflects the first three years of data among the 2,000 participants, which will continue for a minimum of five years. One of the many purposes of the study is to provide a better understanding of the impact that different life events have on teaching careers, including getting married, moving, or starting a family. It will also help to track patterns on how school or district policies affect teacher satisfaction and how teachers respond to transitions in their lives and careers. Among the interesting findings:
- Nearly 10% of teachers followed in the study left teaching after their first year.
- After the first year, three-quarters of new teachers stayed in the same school in their second year of teaching, but the others moved on to another school or district.
- Of those new teachers who were assigned a mentor by their school, 8% were not teaching in the following year, compared with 16% of those who were not assigned a mentor of any kind.
- A slightly higher proportion of teachers with salaries of $40,000 or more were still teaching two years later, compared to those with salaries below that benchmark.
While the study is not yet complete, the most noteworthy statistic is the attrition rate of new teachers. In a climate where half our teaching workforce will be retiring in the next ten years, keeping effective teachers should be a focus among schools and districts. Whether it is through higher pay scales or quality mentorship programs, attracting and retaining our best and brightest to a career in teaching will be the goal for years to come.
**Inserted here: records of crystals**
/*
# 1
BeCr2: optimized geometry, PBE-GGA.

- uncorrected energy (eV per atom) = -7.6682
- SG = P-3m1, No. 164

a = 3.9264 Å, b = 3.9264 Å, c = 2.3735 Å
α = 90.00°, β = 90.00°, γ = 120.00°
Closest atoms and distances in Å follow each position.
Sites, in units of the cell vectors:
Cr1 0.6667 0.3333 0.3624  5 Cr 2.36-2.37, 3 Be 2.42
Cr2 0.3333 0.6667 0.6376  5 Cr 2.36-2.37, 3 Be 2.42
Be1 0.0000 0.0000 0.0000  2 Be 2.37, 6 Cr 2.42

# 2
Rb3LiMg2Br9: optimized geometry, PBE-GGA.

- ΔE_f (raw) (meV per atom) = -1448
- SG = P-3m1, No. 164

a = 7.6245 Å, b = 7.6245 Å, c = 9.3683 Å
α = 90.00°, β = 90.00°, γ = 120.00°
Closest atoms and distances in Å follow each position.
Sites, in units of the cell vectors:
Rb1 0.3333 0.6667 0.6619  12 Br 3.80-3.86
Rb2 0.0000 0.0000 0.0000  12 Br 3.80-3.81
Rb3 0.6667 0.3333 0.3381  12 Br 3.80-3.86
Li1 0.0000 0.0000 0.5000  6 Br 2.73
Mg1 0.3333 0.6667 0.1734  6 Br 2.63-2.74
Mg2 0.6667 0.3333 0.8266  6 Br 2.63-2.74
Br1 0.8321 0.1679 0.6702  1 Mg 2.63, 1 Li 2.73
Br2 0.8321 0.6643 0.6702  1 Mg 2.63, 1 Li 2.73
Br3 0.3357 0.1679 0.6702  1 Mg 2.63, 1 Li 2.73
Br4 0.6643 0.8321 0.3298  1 Mg 2.63, 1 Li 2.73
Br5 0.1679 0.3357 0.3298  1 Mg 2.63, 1 Li 2.73
Br6 0.1679 0.8321 0.3298  1 Mg 2.63, 1 Li 2.73
Br7 0.5000 0.0000 0.0000  2 Mg 2.74
Br8 0.0000 0.5000 0.0000  2 Mg 2.74
Br9 0.5000 0.5000 0.0000  2 Mg 2.74
*/
**The page goes on**
House Education Committee Examines the Federal Role in Public School Accountability in Congressional Hearing
Last week, the U.S. House Committee on Education and the Workforce held a hearing entitled "Education Reforms: Examining the Federal Role in Public School Accountability" to examine the appropriate federal role in accountability. In his opening statement, Chairman John Kline (R-MN) outlined the challenges facing states and school districts struggling to meet accountability standards under current elementary and secondary education law. While no one agrees that a one-size-fits-all approach to accountability is the answer, the hearing brought together leaders from New Mexico, Maryland, Florida, and Pennsylvania to discuss innovative state and local approaches to hold schools accountable for student achievement. Opportunities to Learn, which successfully used student data to develop a more rigorous curriculum that helped improve achievement levels. Dr. Sichel said, "Local school districts, such as Abington, are moving in ways that improve academic outcomes for all children for we are accountable to our students, our parents, our community, our local school board, and our state. All too often successful models rarely receive attention and recognition. Please give us the benefit of the doubt and stop focusing on the punitive accountability measures prescribed by NCLB. This disheartens students, parents, teachers, and administrators and undermines the success of public education in this country."Among the many notable initiatives, Dr. Amy Sichel, the Superintendent of Schools for Pennsylvania's Abington School District, discussed a program she developed called The hearing is part of a continued effort by House Republicans to issue a series of bills aimed at addressing the problems under NCLB. The committee is in the process of developing legislation to address accountability and teacher quality issues, and expects the full package of education reform bills to be considered this year. Click here to watch the hearing in its entirety.
>> Originally posted by Alix on the AAE Blog.